Yesterday was the Election Day here in Italy. I don't like to talk about political theme on the social media, because I've aways thought there's something better than to share some words on the social media just to say "Ehi, I'm here!", we can contribute much more giving positive examples in real and talking with people in real. Polical thought written on the social media sometimes cause bad fights, bad words, violence's sentences and so I prefer to duscuss about this themes just in real. Sure, everyone who follows me on facebook or others perfectly knows that I'm against racism, homophobia, discrimination and others so you can image my bad mood when I woke up this morning in a country (MY country) where a very big part of people voted for the most racist and homophobic italian party: the Lega and his leader Matteo Salvini. The party that had more votes than the others was the "5 stelle" (5 stars), an euroscepti and very controversial movement started by the comedian Beppe Grillo and the web entrepreneur Roberto Casaleggio (just to know: this last one was involved in many investigations because his illegale use of his web agencies creating fake news on the net). They aso seems to be a bit filo-Putin. Just to know. Sincerily, I have to say that, even if I really don't like the programs of the 5 Stelle, I'm more scare by the number of the votes for the Right Partise :(
At now, we don't have a government, but just a dark future. I have to explain this part, because I think the most of you don't exactly knows how the election works in Italy:
For the italian laws about elections, a party (or an allieance of parties) have to get over 40% of votes to form a government, but yesterday no one got over that threshold so will happen one of the following thing:
1) there will be a new allieance between the parties that had an high percentage of votes, the 5 Stelle and the Lega, so we'll have an eurosceptic, racist and homophobic government
2) to have a "governo di scopo"(government of purpose), a temporary government finalized to study a new election law.
The first option is the most probably and I will not deny that I'm really scared by this.
Well, I really need to drink something hot and sweet this morning, a need a big cup of hot chocolate.
![silvia beneforti](
Sometimes is necessary talk about this dear Silvia
Yes, I think the same
Talking about politics on social media something that not everyone likes to engage in but the truth is that, social media is an avenue where you can air your view.
Now, in terms of this Italian politics you in question, i guess Facebook and others are great platforms to convince people for them to see reasons why should not give massive mandate to the racist party.
Am quite sure that you are right here but on a second thought, i also think that it depends on manner in which its presented.
But in all, everything politics must attract friends and foe at the same time.
si... elezioni politiche in Italia... stringiamoci forte, ne avremo bisogno :D :D
stringiamoci forte forte, Filippo! :D :D
Records of crystals, as found in the file:
=====
No. 1
Entry from the Open Quantum Materials Database: a geometry-optimized ZnP2 structure (PBE-GGA).

Results
Symmetry ... P4_12_12, No. 92
Crystal system ... tetragonal

a b c (Å): 5.078 5.078 18.569
angles (deg): 90.00 90.00 90.00
Fractional coordinates of all 24 atoms:
Zn (0.135, 0.347, 0.300)
Zn (0.153, 0.635, 0.550)
Zn (0.347, 0.135, 0.700)
Zn (0.365, 0.847, 0.950)
Zn (0.635, 0.153, 0.450)
Zn (0.653, 0.865, 0.200)
Zn (0.847, 0.365, 0.050)
Zn (0.865, 0.653, 0.800)
P (0.008, 0.020, 0.126)
P (0.020, 0.008, 0.874)
P (0.182, 0.699, 0.059)
P (0.199, 0.318, 0.809)
P (0.301, 0.818, 0.441)
P (0.318, 0.199, 0.191)
P (0.480, 0.508, 0.376)
P (0.492, 0.520, 0.124)
P (0.508, 0.480, 0.624)
P (0.520, 0.492, 0.876)
P (0.682, 0.801, 0.691)
P (0.699, 0.182, 0.941)
P (0.801, 0.682, 0.309)
P (0.818, 0.301, 0.559)
P (0.980, 0.992, 0.374)
P (0.992, 0.980, 0.626)

***

No. 2
Entry from the Open Quantum Materials Database: a geometry-optimized Zn3P2 structure (PBE-GGA).

Results
Symmetry ... Ia-3, No. 206
Crystal system ... cubic
Energy above the lowest structure with this stoichiometry ... 24 meV/atom

a b c (Å): 9.888 9.888 9.888
angles (deg): 109.47 109.47 109.47
Fractional coordinates of all 40 atoms:
Zn (0.010, 0.476, 0.747)
Zn (0.024, 0.034, 0.272)
Zn (0.034, 0.272, 0.024)
Zn (0.228, 0.263, 0.753)
Zn (0.237, 0.466, 0.490)
Zn (0.247, 0.772, 0.737)
Zn (0.253, 0.990, 0.524)
Zn (0.263, 0.753, 0.228)
Zn (0.272, 0.024, 0.034)
Zn (0.466, 0.490, 0.237)
Zn (0.476, 0.747, 0.010)
Zn (0.490, 0.237, 0.466)
Zn (0.510, 0.763, 0.534)
Zn (0.524, 0.253, 0.990)
Zn (0.534, 0.510, 0.763)
Zn (0.728, 0.976, 0.966)
Zn (0.737, 0.247, 0.772)
Zn (0.747, 0.010, 0.476)
Zn (0.753, 0.228, 0.263)
Zn (0.763, 0.534, 0.510)
Zn (0.772, 0.737, 0.247)
Zn (0.966, 0.728, 0.976)
Zn (0.976, 0.966, 0.728)
Zn (0.990, 0.524, 0.253)
P (0.000, 0.000, 0.500)
P (0.000, 0.500, 0.000)
P (0.010, 0.750, 0.760)
P (0.240, 0.990, 0.250)
P (0.250, 0.240, 0.990)
P (0.250, 0.740, 0.490)
P (0.260, 0.510, 0.750)
P (0.490, 0.250, 0.740)
P (0.500, 0.000, 0.000)
P (0.500, 0.500, 0.500)
P (0.510, 0.750, 0.260)
P (0.740, 0.490, 0.250)
P (0.750, 0.260, 0.510)
P (0.750, 0.760, 0.010)
P (0.760, 0.010, 0.750)
P (0.990, 0.250, 0.240)

***

No. 3
Entry from the Open Quantum Materials Database: a geometry-optimized ZnP2 structure (PBE-GGA).

Results
Symmetry ... Fd-3m, No. 227
Crystal system ... cubic

a b c (Å): 5.111 5.111 5.111
angles (deg): 60.00 60.00 60.00
Fractional coordinates of all 6 atoms:
Zn (0.125, 0.125, 0.125)
Zn (0.875, 0.875, 0.875)
P (0.000, 0.500, 0.500)
P (0.500, 0.000, 0.500)
P (0.500, 0.500, 0.000)
P (0.500, 0.500, 0.500)

***

No. 4
Entry from the Open Quantum Materials Database: a geometry-optimized Zn2P structure (PBE-GGA).

Results
Symmetry ... Fd-3m, No. 227
Crystal system ... cubic

a b c (Å): 7.589 7.589 7.589
angles (deg): 60.00 60.00 60.00
Fractional coordinates of all 6 atoms:
Zn (0.000, 0.000, 0.000)
Zn (0.000, 0.000, 0.500)
Zn (0.000, 0.500, 0.000)
Zn (0.500, 0.000, 0.000)
P (0.125, 0.125, 0.125)
=====
Back to the entry:
ce ne sarà bisogno ahahahah
Take two mugs of hot chocolate, and go for a long walk. What else can you do?
You're right, there's nothing else that I can do. I'll continue to try to give positive example and to live my life in peace and harmony ;)
Our politics in the UK have been getting crazy lately, but probably not as chaotic as Italy. I think politicians have lost the public trust and people will vote for whoever promises what they want. That's dangerous as such politicians may have other motives. Many of them don't seem to really care about the people. We need to be talking about this too keep everyone thinking
At this moment, here it's really a choas, not only because this results surprised many people , but also because we don't have a government and this means instability and tension. The future alliances to have a government will be not simple, because people who voted for the 5 stars are not righty like the Lega. Hard times in every cases.
I hope they can work it out, but it seems Italy struggles to make any government last long. I worry about the extreme parties having too much power when they can decide votes. It's happened here too.
Anch'io 5 stars, speriamo bene. Per tutti e per tutto
Comunque vada, speriamo si arrivi presto ad avere un nuovo governo, altrimenti instabilità (anche economica, visto l'andamento della borsa di Milano) e tensioni non faranno che crescere.
Just watched a comedic and not so comedic take on the Italy elections not too long ago
I am sorry to hear about the woes. Hopefully this will have an effect of people becoming more active in politics to help bring change if that is what is wanted.
Hey @ silviabeneforti, great post! I enjoyed your content. Keep up the good work!
It's always nice to see good content here on Steemit! Cheers :)
Hi my dear! You are right! My family in Morocco stopped go to election, never they go to vote, my father always tell me that no one deserves my vote, I don’t like the racism, it’s not good all the humans must be equals.